(Activity)
Please echo the lines further below up to the one that holds "2.1890 -2.2543", that line included.

(Source)
Entry 1:
The following is a PBE calculation of a relaxed AcCdAs2Pt5 crystal, from Alexandria.

Structure (POSCAR):
```
AcCdAs2Pt5
1.0
4.2394 0.0000 0.0000
0.0000 4.2394 0.0000
0.0000 0.0000 10.9848
Ac Cd As Pt
1 1 2 5
Cartesian
0.0000 0.0000 5.4924 Ac
0.0000 0.0000 0.0000 Cd
2.1197 2.1197 3.0837 As
2.1197 2.1197 7.9011 As
0.0000 2.1197 1.8801 Pt
2.1197 0.0000 1.8801 Pt
0.0000 2.1197 9.1047 Pt
2.1197 0.0000 9.1047 Pt
2.1197 2.1197 5.4924 Pt
```

Properties
DOS(E_F) = 4.91 states/eV/cell
SG = No. 123
Crystal system = tetragonal
Total moment = 0.00 μB/f.u.
Calculated density = 12.319 g/cm³
Calculated volume = 197.4 Å³/cell
Formation enthalpy at 0 K = -452 meV/atom



Entry 2:
The following is a PBE calculation of a relaxed CaNbGe crystal, from Alexandria.

Structure (POSCAR):
```
CaNbGe
1.0
5.2728 0.0000 0.0000
0.0000 6.0394 0.0000
0.0000 0.0000 8.0056
Nb Ca Ge
4 4 4
Cartesian
1.3182 1.5098 6.0042 Nb
1.3182 4.5295 2.0014 Nb
3.9546 4.5295 2.0014 Nb
3.9546 1.5098 6.0042 Nb
0.0000 1.5098 0.9412 Ca
0.0000 4.5295 7.0643 Ca
2.6364 4.5295 4.9440 Ca
2.6364 1.5098 3.0615 Ca
0.0000 0.0000 4.0028 Ge
0.0000 3.0197 4.0028 Ge
2.6364 3.0197 0.0000 Ge
2.6364 0.0000 0.0000 Ge
```

Properties
DOS(E_F) = 3.40 states/eV/cell
SG = No. 74
Crystal system = orthorhombic
Total moment = 0.00 μB/f.u.
Calculated density = 5.357 g/cm³
Calculated volume = 254.9 Å³/cell
Formation enthalpy at 0 K = -261 meV/atom



Entry 3:
The following is a PBE calculation of a relaxed ScNi crystal, from Alexandria.

Structure (POSCAR):
```
ScNi
1.0
-0.0408 1.6589 3.0577
-2.2762 -2.5562 -0.6227
2.1890 -2.2543 1.2522
Ni Sc
1 1
Cartesian
0.0000 0.0000 0.0000 Ni
-0.4365 -2.2783 1.2302 Sc
```

Properties
DOS(E_F) = 1.71 states/eV/cell
SG = No. 187
Crystal system = hexagonal
Total moment = 0.00 μB/f.u.
Calculated density = 4.855 g/cm³
Calculated volume = 35.5 Å³/cell
Formation enthalpy at 0 K = -207 meV/atom



Entry 4:
The following is a PBE calculation of a relaxed CuSb2Os crystal, from Alexandria.

Structure (POSCAR):
```
CuSb2Os
1.0
-1.9486 1.5541 2.0004
0.5341 -2.1876 2.2198
6.1033 4.2316 2.6579
Cu Os Sb
1 1 2
Cartesian
0.6851 1.2880 2.2196 Cu
4.0038 2.3100 4.6585 Os
6.0492 3.5493 3.1352 Sb
3.3729 1.7042 1.9616 Sb
```

Properties
DOS(E_F) = 2.53 states/eV/cell
SG = No. 10
Crystal system = monoclinic
Total moment = 0.00 μB/f.u.
Calculated density = 10.360 g/cm³
Polymorph energy (0 for the lowest one) = 0.110 eV/atom
Calculated volume = 79.7 Å³/cell
E_form (uncorrected) = 39.4 kJ/mol of atoms



Entry 5:
The following is a PBE calculation of a relaxed Rb2CSeCl6 crystal, from Alexandria.

Structure (POSCAR):
```
Rb2CSeCl6
1.0
7.2551 0.0000 0.0000
0.0000 7.2551 0.0000
3.6275 3.6275 4.5469
C Se Rb Cl
1 1 2 6
Cartesian
3.6275 3.6275 0.0000 C
0.0000 0.0000 0.0000 Se
7.2551 3.6275 2.2735 Rb
3.6275 7.2551 2.2735 Rb
3.6275 3.6275 2.0999 Cl
7.2551 7.2551 2.4470 Cl
1.8985 1.8985 0.0000 Cl
5.3566 5.3566 0.0000 Cl
5.3566 1.8985 0.0000 Cl
1.8985 5.3566 0.0000 Cl
```

Properties
DOS(E_F) = 3.98 states/eV/cell
SG = No. 139
Crystal system = tetragonal
Total moment = 0.00 μB/f.u.
Calculated density = 3.293 g/cm³
Calculated volume = 239.3 Å³/cell
E_form (uncorrected) = -35.8 kJ/mol of atoms



Entry 6:
The following is a PBE calculation of a relaxed Li5PtAu4 crystal, from Alexandria.

Structure (POSCAR):
```
Li5PtAu4
1.0
3.0393 0.0000 0.0000
0.0000 3.0393 0.0000
0.0000 0.0000 16.0250
Li Pt Au
5 1 4
Cartesian
1.5196 1.5196 1.4539 Li
1.5196 1.5196 4.7276 Li
1.5196 1.5196 8.0125 Li
1.5196 1.5196 11.2974 Li
1.5196 1.5196 14.5711 Li
0.0000 0.0000 0.0000 Pt
0.0000 0.0000 3.0924 Au
0.0000 0.0000 6.3633 Au
0.0000 0.0000 9.6617 Au
0.0000 0.0000 12.9326 Au
```

Properties
DOS(E_F) = 2.27 states/eV/cell
SG = No. 123
Crystal system = tetragonal
Total moment = 0.00 μB/f.u.
Calculated density = 11.416 g/cm³
Calculated volume = 148.0 Å³/cell
Formation enthalpy at 0 K = -526 meV/atom



Entry 7:
The following is a PBE calculation of a relaxed CuIrPt2 crystal, from Alexandria.

Structure (POSCAR):
```
CuIrPt2

(Done)
Entry 1:
The following is a PBE calculation of a relaxed AcCdAs2Pt5 crystal, from Alexandria.

Structure (POSCAR):
```
AcCdAs2Pt5
1.0
4.2394 0.0000 0.0000
0.0000 4.2394 0.0000
0.0000 0.0000 10.9848
Ac Cd As Pt
1 1 2 5
Cartesian
0.0000 0.0000 5.4924 Ac
0.0000 0.0000 0.0000 Cd
2.1197 2.1197 3.0837 As
2.1197 2.1197 7.9011 As
0.0000 2.1197 1.8801 Pt
2.1197 0.0000 1.8801 Pt
0.0000 2.1197 9.1047 Pt
2.1197 0.0000 9.1047 Pt
2.1197 2.1197 5.4924 Pt
```

Properties
DOS(E_F) = 4.91 states/eV/cell
SG = No. 123
Crystal system = tetragonal
Total moment = 0.00 μB/f.u.
Calculated density = 12.319 g/cm³
Calculated volume = 197.4 Å³/cell
Formation enthalpy at 0 K = -452 meV/atom



Entry 2:
The following is a PBE calculation of a relaxed CaNbGe crystal, from Alexandria.

Structure (POSCAR):
```
CaNbGe
1.0
5.2728 0.0000 0.0000
0.0000 6.0394 0.0000
0.0000 0.0000 8.0056
Nb Ca Ge
4 4 4
Cartesian
1.3182 1.5098 6.0042 Nb
1.3182 4.5295 2.0014 Nb
3.9546 4.5295 2.0014 Nb
3.9546 1.5098 6.0042 Nb
0.0000 1.5098 0.9412 Ca
0.0000 4.5295 7.0643 Ca
2.6364 4.5295 4.9440 Ca
2.6364 1.5098 3.0615 Ca
0.0000 0.0000 4.0028 Ge
0.0000 3.0197 4.0028 Ge
2.6364 3.0197 0.0000 Ge
2.6364 0.0000 0.0000 Ge
```

Properties
DOS(E_F) = 3.40 states/eV/cell
SG = No. 74
Crystal system = orthorhombic
Total moment = 0.00 μB/f.u.
Calculated density = 5.357 g/cm³
Calculated volume = 254.9 Å³/cell
Formation enthalpy at 0 K = -261 meV/atom



Entry 3:
The following is a PBE calculation of a relaxed ScNi crystal, from Alexandria.

Structure (POSCAR):
```
ScNi
1.0
-0.0408 1.6589 3.0577
-2.2762 -2.5562 -0.6227
2.1890 -2.2543 1.2522